It is a well-known fact that going to school has never been an exciting activity for kids. Despite the conventional elementary school classroom consisting of roughly 70 to 80 students in each section, kids never feel comfortable attending school. All the students impatiently wait for school to get over and spring up from their seats and rush home at sharp 1 PM regularly. Students keep a hopeful eye on the seemingly slow wall clock, which is mounted right above the menacing blackboard. Their ears, instead of paying heed to the teachers voice, are on the constant lookout for the sweet sound of one metal striking another, signifying liberty for the given day.
Through this blog, I will be sharing a different perspective of the standard classroom which I have acquired over the years . When I was in grade 7, I shifted from the usual daytime elementary school to a residential school.The stark difference between the classroom of a residential school and that of a standard day school was astounding. Being in an enormous classroom which provided both ventilation as well as a scintillating ambiance seemed almost surreal and unlike anything I could have ever foreseen.
Each classroom had just around 6 to 8 students in accordance with their respective subjects. Each class was bifurcated as per the students’ subject selection, making the classrooms immensely less crowded than my former, or any other day school for that matter. The composure I witnessed in the faculty here seemed so foreign compared to the ever frustrated staff of my former institute .This caused the realization that it may be so due to the immense burden endured by day school teachers on a daily basis whereas in sparsely populated schools, teachers undoubtedly have a lessened academic workload.
┌──
# PBEsol MgZnW2, optimized geometry
# Energy above the lowest structure with this stoichiometry: 64 kJ/mol of formula units
# Fermi-level density of states: 2.0 states/eV per cell
# Energy of formation: 0.388 eV/atom
# Space group: P2/m (10)
# Calculated density: 12.164 g/cm³
data_MgZnW2
_chemical_formula_sum 'Mg1 Zn1 W2'
_cell_length_a 2.678
_cell_length_b 4.543
_cell_length_c 5.278
_cell_angle_alpha 90.00
_cell_angle_beta 103.50
_cell_angle_gamma 90.00
_space_group_name_H-M_alt 'P 1'
_space_group_IT_number 1
_space_group_name_Hall 'P 1'
loop_
_atom_site_label
_atom_site_fract_x
_atom_site_fract_y
_atom_site_fract_z
Mg1 0.000 0.000 0.000
Zn1 0.500 0.000 0.500
W1 0.274 0.500 0.750
W2 0.726 0.500 0.250

=====

# PBEsol Mg3ZrW, optimized geometry
# Fermi-level density of states: 5.6 states/eV per cell
# Energy of formation: 1.468 eV/atom
# Space group: Pm-3m (221)
# Calculated density: 4.712 g/cm³
data_Mg3ZrW
_chemical_formula_sum 'Mg3 Zr1 W1'
_cell_length_a 4.968
_cell_length_b 4.968
_cell_length_c 4.968
_cell_angle_alpha 90.00
_cell_angle_beta 90.00
_cell_angle_gamma 90.00
_space_group_name_H-M_alt 'P 1'
_space_group_IT_number 1
_space_group_name_Hall 'P 1'
loop_
_atom_site_label
_atom_site_fract_x
_atom_site_fract_y
_atom_site_fract_z
Mg1 0.000 0.000 0.500
Mg2 0.000 0.500 0.000
Mg3 0.500 0.000 0.000
Zr1 0.500 0.500 0.500
W1 0.000 0.000 0.000

=====

Q: energy of formation of number 2 (Mg3ZrW)?
A: 1.468 eV/atom

~~~~~

# 1
ZrOs2Br | PBEsol | optimized geometry

Its formation energy (no corrections) is 488 meV/atom. The density of states at the Fermi level comes out at 1.027 states/eV/atom. Its space-group type is No. 10. Its energy above the most stable polymorph in this dataset is 248.8 meV/atom. Its crystal system is monoclinic.

Unit cell a=2.913 b=4.927 c=4.614 alpha=90.00 beta=90.82 gamma=90.00
Fractional coordinates of all 4 atoms:
Zr 0.000 0.000 0.000
Os 0.267 0.500 0.745
Os 0.733 0.500 0.255
Br 0.500 0.000 0.500


# 2
BeNiP | PBEsol | optimized geometry

The density of states at the Fermi level comes out at 0.412 states/eV/atom. The value obtained for the formation energy from the elements is -1.07 eV per formula unit. Its space-group type is No. 216. Its crystal system is cubic.

Unit cell a=5.138 b=5.138 c=5.138 alpha=90.00 beta=90.00 gamma=90.00
Fractional coordinates of all 12 atoms:
Be 0.000 0.000 0.000
Be 0.000 0.500 0.500
Be 0.500 0.000 0.500
Be 0.500 0.500 0.000
Ni 0.000 0.000 0.500
Ni 0.000 0.500 0.000
Ni 0.500 0.000 0.000
Ni 0.500 0.500 0.500
P 0.250 0.250 0.750
P 0.250 0.750 0.250
P 0.750 0.250 0.250
P 0.750 0.750 0.750


# 3
BeIrPb | PBEsol | optimized geometry

The density of states at the Fermi level comes out at 0.418 states/eV/atom. The value obtained for the formation energy from the elements is 1.09 eV per formula unit. Its space-group type is No. 156. Its crystal system is trigonal.

Unit cell a=3.064 b=3.064 c=6.169 alpha=90.00 beta=90.00 gamma=120.00
Fractional coordinates of all 3 atoms:
Be 0.000 0.000 0.000
└──
A striking change in atmosphere was also observed in these classrooms as whiteboards and markers replaced blackboards and chalk. The transfer of education here also acquired a much more technologically advanced and a holistic visual medium . The seating arrangements were not in the format of the conventional straight lines, but had now undertaken the unique form of a curve. This strategy was implemented in consultation with world-class educationalists who are extremely proficient in the field.
Under assessment, everything is vastly different in residential schools than compared to day schools. The only thing which remains unchanged is the wall clock sitting right at the top of the smart class display wall. Along with it, the students’ never ending anticipation of the clock to tick faster. I have often wondered if this feeling is universal or is it just us Indians who lack something vital in education. I have seen kids walk slowly and grudgingly while going to school but sprint with all their might on the way back. This starkly reflects upon the kind of spirit that every student possesses throughout their school life. I often find myself wondering as to why this sense of boredom prevails in students’ minds.
I believe that there is a world of a difference between teaching and educating students. One should impart knowledge rather than teaching bookish facts. During the summer break, I got the opportunity to educate underprivileged kids. Due to the pandemic outbreak, the probability of offline board exams occuring looked slim and I , like most of my peers, faced the wrath of online classes. During this time, I took it upon myself to explore and gain a deeper understanding of my hometown. I used to think about how poor kids must be availing online classes. The limited resources and facilities surely would have imposed great restrictions on them. How can an underprivileged family manage to pay for online classes and internet facilities when they are already struggling to earn bread and butter? This question always haunted me.
My curiosity to know how underprivileged kids manage their studies online started increasing day by day. During this time, my father introduced me to a local NGO running a few schools in the slums and other unnoticed areas. There I got an opportunity to be a volunteer and teach the underprivileged kids. My family greatly resisted my decision to go ahead with teaching those kids.They were concerned for my health and safety during these unprecedented times and rightly so.
Nevertheless, I finally got permission, and was filled with excitement. But at the same time, I was nervous as I had never really taught anyone, especially underprivileged children. To overcome this fear, I prepared my mind and nervously waited for the scheduled day and time to commence teaching.
When the day arrived, I reached the venue 20 minutes before time out of sheer excitement. It came as a real shocker to me that there was no classroom instead just an open, airy space with no walls. There were no tables or chairs for students.Just a single tiny broken chair and a small table was available for the teacher. The other thing that perplexed me was that the count of 15 students varied from 4 to 14 years of age. There were a few obstacles in front of me on the initial day. Should I teach them numeric counting or alphabets? Which language is more apt for communication? How to manage students of such different age groups?
The first day of class soon answered all these queries and proved to be an excellent learning opportunity which helped me prepare for the classes ahead. Though the list of things to be tackled was long, one thing that motivated me the most was observing active student participation in my first class. The class that was supposed to have lasted for only an hour extended itself to a couple of hours and could have lasted even more had the rain not interrupted us that day. When the kids came to know that I would be taking their class regularly, the excitement and joy on their faces was clear as day. Their jubilant faces evidently revealed their anticipation and enthusiasm of receiving classes regularly.
This contentment of the kids gave me the energy and zeal to return back to them every single day. I could not even bear missing a single class as I could not fathom to see those innocent little minds feeling betrayed as I came back the next day. I am currently working on a plan to optimally utilize the given resources to maximize efficiency in my teaching. I am confident that with combined effort and willpower; I will be able to achieve the desired output. In all these instances, what amuses me the most is that despite being the teacher,I seem to be greatly learning from these classes. I am sure; with time this learning will only improve and help me gain further insight on true education and teaching.